┌──
(1)
{"formula": "C4H8O2", "method": "ωB97M-V/def2-TZVPD", "orbital_gap_ev": 10.66, "de_lowest_ev": 2.042, "smiles": "OC[C@H]1C[C@H]1O", "lumo_ev": 0.759, "energy_ev": -8371.2393, "total_charge": 0, "symbols": ["O", "C", "C", "C", "C", "O", "H", "H", "H", "H", "H", "H", "H", "H"], "coordinates": [[-0.2720, 2.2687, 0.1452], [0.4230, 1.2911, -0.5962], [-0.3419, -0.0026, -0.6984], [0.3314, -1.3567, -0.4695], [-0.6274, -0.7780, 0.5254], [-0.1015, -0.1951, 1.6880], [-0.3914, 1.8846, 1.0265], [1.4014, 1.0697, -0.1476], [0.6034, 1.7281, -1.5828], [-0.9752, -0.1773, -1.5717], [1.3865, -1.3347, -0.2291], [0.0007, -2.2330, -1.0303], [-1.5961, -1.2569, 0.6544], [0.1589, -0.9080, 2.2861]], "forces_ev_per_angstrom": [[-0.099, -0.064, 0.343], [0.413, -0.192, -0.163], [-0.058, -1.033, -1.599], [0.411, 0.001, 0.390], [-0.192, -0.265, 0.037], [0.009, -0.199, 0.354], [-0.030, 0.199, -0.121], [-0.062, 0.176, 0.000], [-0.051, -0.181, 0.090], [-0.515, 0.856, 0.587], [-0.003, -0.094, 0.200], [0.108, 0.459, -0.011], [0.087, 0.101, -0.017], [-0.017, 0.237, -0.088]]}

(2)
{"formula": "C5H9NaO3", "method": "ωB97M-V/def2-TZVPD", "orbital_gap_ev": 9.26, "de_lowest_ev": 0.000, "lumo_ev": -9.085, "energy_ev": -15872.5702, "total_charge": 2, "symbols": ["H", "O", "O", "O", "C", "C", "C", "C", "C", "H", "H", "H", "H", "H", "H", "H", "H", "Na"], "coordinates": [[0.5548, -1.4272, 1.2653], [1.2316, -0.1435, -0.0857], [-0.9735, 0.2460, -0.3138], [0.1876, -0.9679, -1.8713], [1.5916, -0.9642, 1.0657], [-1.7571, 0.8224, -1.1249], [2.2531, -0.1610, 2.1450], [-2.9813, 1.4087, -0.6456], [0.1927, -0.4520, -0.7864], [2.2323, -1.7414, 0.6391], [-1.4603, 0.8473, -2.1824], [1.7663, -0.4138, 3.0970], [3.3169, -0.4201, 2.2228], [2.1523, 0.9174, 1.9715], [-2.9919, 2.4520, -1.0120], [-3.8071, 0.9220, -1.1956], [-3.0988, 1.3418, 0.4383], [1.5908, -2.2668, -3.6269]], "forces_ev_per_angstrom": [[1.863, 0.351, 0.839], [-0.771, 0.781, -0.967], [-0.294, -0.478, 0.495], [-0.768, -0.266, 0.638], [-1.761, -1.850, 0.186], [-0.134, -0.123, -0.242], [-0.048, -0.062, 0.553], [0.135, 0.320, -0.003], [2.250, 1.290, -1.824], [-0.084, 0.022, 0.314], [-0.129, -0.053, 0.204], [0.273, 0.234, -0.177], [-0.340, 0.189, -0.044], [-0.022, -0.304, 0.048], [-0.144, -0.145, 0.113], [0.063, 0.073, 0.075], [-0.044, 0.002, -0.243], [-0.048, 0.020, 0.034]]}

Question: Number 1 is which compound?
Answer: C4H8O2

~~~~~

No. 1
Here is a cluster of 4 separate species, C29H50F4N5O9S in total from the OMol25 dataset. Energies are from the ωB97M-V functional and the def2-TZVPD basis.

Computed properties:
total charge: +1

Element x y z (Å)
C (-3.48481, -1.77196, 0.48348)
C (-2.31789, -2.72873, 0.70236)
O (-2.61549, -3.64088, 1.75122)
C (-0.97987, -2.05476, 1.09213)
C (-0.68307, -0.89407, 0.17614)
C (-0.90821, 0.43238, 0.55159)
C (-1.40194, 0.69083, 1.96234)
C (-0.18846, 0.68295, 2.93073)
C (0.98451, 1.53406, 2.42315)
C (1.75483, 2.29907, 3.54083)
S (2.43088, 3.76092, 2.74051)
O (2.67366, 3.46225, 1.35282)
O (3.55545, 4.25618, 3.45915)
O (1.26238, 4.84914, 2.81487)
C (-0.66262, 1.47685, -0.35595)
C (-0.95811, 2.91433, -0.01225)
C (-2.01191, 3.54642, -0.97665)
O (-1.56872, 4.71571, -1.62540)
C (-0.12258, 1.15793, -1.62249)
C (0.27770, 2.22978, -2.62191)
C (1.52718, 3.01499, -2.16099)
C (2.83887, 2.27067, -2.37117)
F (3.20116, 1.64256, -1.23706)
F (2.79234, 1.34592, -3.33830)
F (3.82255, 3.13420, -2.65894)
C (0.08969, -0.16825, -1.92719)
N (0.65814, -0.56699, -3.16649)
C (-0.11243, -0.72851, -4.11546)
O (-0.80591, -1.03722, -4.98320)
N (-0.19169, -1.17109, -1.05576)
C (0.10126, -2.54478, -1.49300)
C (1.60656, -2.84774, -1.32294)
F (2.08665, -2.16482, -0.22761)
H (-4.37439, -2.39138, 0.30873)
H (-3.36854, -1.16568, -0.41699)
H (-3.69906, -1.16482, 1.36246)
H (-2.21877, -3.30588, -0.22484)
H (-3.55459, -3.84373, 1.66901)
H (-0.16046, -2.76342, 0.98245)
H (-1.06882, -1.75595, 2.12658)
H (-2.06688, -0.10650, 2.27819)
H (-1.95254, 1.61921, 2.07133)
H (0.17083, -0.34314, 3.00371)
H (-0.48965, 0.95206, 3.94415)
└──

What is needed: count the lines above that contain the word "formula" and give the number alone.

2